_Activity_
It remains to give back the data further below verbatim.

_Entries_
********
1) Material: Li8V3P8O29
Method: DFT, PBE with a Hubbard U
State: relaxed

```
Li8V3P8O29
1.0
9.9049 0.0000 0.0000
4.9464 8.5852 0.0000
0.1051 0.0720 13.8998
Li V P O
16 6 16 58
direct
0.0000 0.0000 0.0000
0.0043 0.5547 0.9499
0.0143 0.9857 0.4997
0.0998 0.6419 0.3196
0.2400 0.6364 0.8187
0.2599 0.2952 0.8659
0.3098 0.2451 0.3656
0.4255 0.5467 0.4459
0.4354 0.9805 0.9514
0.5612 0.4112 0.9461
0.5689 0.9901 0.4496
0.6509 0.2257 0.3187
0.6562 0.0856 0.8198
0.6631 0.6581 0.7667
0.6725 0.6487 0.2665
0.9948 0.4214 0.4512
0.3282 0.8868 0.1378
0.3342 0.7536 0.6335
0.7670 0.8828 0.6316
0.7680 0.3198 0.1337
0.8971 0.7528 0.1316
0.9015 0.3135 0.6379
0.0129 0.5433 0.7269
0.0151 0.4070 0.2334
0.1035 0.6392 0.5407
0.1126 0.2307 0.0480
0.2432 0.6398 0.0381
0.2450 0.0982 0.5480
0.4205 0.5473 0.2258
0.4216 0.0004 0.7334
0.5579 0.9985 0.2269
0.5617 0.4060 0.7256
0.6534 0.0894 0.0406
0.6540 0.2290 0.5380
0.6596 0.6560 0.0087
0.6707 0.6450 0.5086
0.9955 0.9837 0.7591
0.9983 0.9811 0.2590
0.0003 0.8324 0.2225
0.0046 0.5667 0.2221
0.0121 0.9768 0.3662
0.0789 0.2405 0.5426
0.0823 0.6536 0.0375
0.0910 0.5570 0.4531
0.0918 0.3315 0.3269
0.1054 0.5381 0.8159
0.1167 0.5355 0.6347
0.1196 0.3331 0.9698
0.1301 0.2971 0.1498
0.1449 0.8360 0.7230
0.1468 0.9769 0.2088
0.2261 0.8030 0.0508
0.2323 0.9496 0.5509
0.2535 0.6489 0.5400
0.2549 0.0645 0.0428
0.3115 0.1155 0.6499
0.3274 0.5556 0.3143
0.3312 0.5368 0.1321
0.3355 0.5555 0.9496
0.3461 0.0775 0.8271
0.3474 0.1051 0.4698
0.4117 0.9832 0.2248
0.4128 0.5656 0.7256
0.4431 0.6912 0.2143
0.4430 0.8368 0.7174
0.5147 0.8037 0.0559
0.5224 0.6445 0.5453
0.5499 0.1022 0.1346
0.5509 0.3169 0.6320
0.5528 0.0908 0.3157
0.5700 0.3129 0.8144
0.5698 0.3215 0.4493
0.5708 0.0774 0.9531
0.5801 0.3982 0.2258
0.5811 0.9902 0.7221
0.6421 0.6713 0.9009
0.6587 0.5079 0.0456
0.6632 0.2393 0.0403
0.6672 0.7974 0.5414
0.6676 0.0683 0.5373
0.6862 0.6276 0.4007
0.7037 0.8365 0.2188
0.7058 0.4283 0.7142
0.8120 0.6525 0.0417
0.8172 0.2120 0.5508
0.8183 0.5001 0.5560
0.8194 0.9491 0.0541
0.8467 0.9859 0.7228
0.8504 0.1306 0.2226
0.8512 0.4286 0.2171
0.8510 0.6889 0.7189
0.9633 0.8050 0.5543
0.9639 0.2179 0.0508
0.9913 0.1323 0.7090
0.9913 0.9981 0.8666
0.9983 0.3969 0.7248
```



2) Material: Li8V3P8O29
Method: DFT, PBE with a Hubbard U
State: relaxed

```
Li8V3P8O29
1.0
8.5607 -4.9337 0.0000
8.5607 4.9337 0.0000
-0.0656 0.0000 13.8066
Li V P O
16 6 16 58
direct
0.0030 0.9970 0.5000
0.1003 0.2399 0.6825
0.1008 0.6639 0.1825
0.2399 0.1003 0.1825
0.2400 0.6633 0.6811
0.3356 0.3371 0.6189
0.3371 0.3356 0.1189
0.4361 0.5692 0.0582
0.4364 0.9988 0.5555
0.5692 0.4361 0.5582
0.5711 0.9978 0.0563
0.6633 0.2400 0.1811
0.6639 0.1008 0.6825
0.9970 0.0030 0.0000
0.9978 0.5711 0.5563
0.9988 0.4364 0.0555
0.3360 0.8986 0.3666
0.3385 0.7703 0.8680
0.7703 0.3385 0.3680
0.7708 0.8984 0.8666
0.8984 0.7708 0.3666
0.8986 0.3360 0.8666
0.0006 0.0042 0.2439
0.0042 0.0006 0.7439
0.0222 0.4201 0.2743
0.0225 0.5612 0.7738
0.1103 0.2458 0.4617
0.1123 0.6495 0.9617
0.2444 0.6494 0.4622
0.2458 0.1103 0.9617
0.4201 0.0222 0.7743
0.4222 0.5607 0.2750
0.5612 0.0225 0.2738
0.5607 0.4222 0.7750
0.6494 0.2444 0.9622
0.6495 0.1123 0.4617
0.6675 0.6708 0.9925
0.6708 0.6675 0.4925
0.0042 0.5828 0.2733
0.0084 0.4139 0.7744
0.0090 0.8519 0.2817
0.0095 0.9931 0.6347
0.0145 0.1437 0.7815
0.0829 0.2559 0.9637
0.0832 0.6619 0.4626
0.1034 0.3393 0.5511
0.1110 0.3290 0.1846
0.1118 0.5584 0.0505
0.1153 0.5597 0.6851
0.1274 0.3327 0.3685
0.1280 0.5453 0.8686
0.1437 0.0145 0.2815
0.1515 0.8481 0.7867
0.2249 0.8134 0.4517
0.2295 0.9623 0.9487
0.2559 0.0829 0.4637
0.2603 0.6654 0.9619
0.3290 0.1110 0.6846
0.3327 0.1274 0.8685
0.3338 0.5444 0.3688
0.3338 0.5544 0.1856
0.3393 0.1034 0.0511
0.3393 0.5591 0.5508
0.4139 0.0084 0.2744
0.4138 0.5865 0.7769
0.4241 0.8655 0.7868
0.4285 0.7104 0.2841
0.5157 0.6709 0.9466
0.5244 0.8158 0.4529
0.5444 0.3338 0.8688
0.5453 0.1280 0.3686
0.5544 0.3338 0.6856
0.5584 0.1118 0.5505
0.5591 0.3393 0.0508
0.5597 0.1153 0.1851
0.5828 0.0042 0.7733
********

_Result_
1) Material: Li8V3P8O29
Method: DFT, PBE with a Hubbard U
State: relaxed

```
Li8V3P8O29
1.0
9.9049 0.0000 0.0000
4.9464 8.5852 0.0000
0.1051 0.0720 13.8998
Li V P O
16 6 16 58
direct
0.0000 0.0000 0.0000
0.0043 0.5547 0.9499
0.0143 0.9857 0.4997
0.0998 0.6419 0.3196
0.2400 0.6364 0.8187
0.2599 0.2952 0.8659
0.3098 0.2451 0.3656
0.4255 0.5467 0.4459
0.4354 0.9805 0.9514
0.5612 0.4112 0.9461
0.5689 0.9901 0.4496
0.6509 0.2257 0.3187
0.6562 0.0856 0.8198
0.6631 0.6581 0.7667
0.6725 0.6487 0.2665
0.9948 0.4214 0.4512
0.3282 0.8868 0.1378
0.3342 0.7536 0.6335
0.7670 0.8828 0.6316
0.7680 0.3198 0.1337
0.8971 0.7528 0.1316
0.9015 0.3135 0.6379
0.0129 0.5433 0.7269
0.0151 0.4070 0.2334
0.1035 0.6392 0.5407
0.1126 0.2307 0.0480
0.2432 0.6398 0.0381
0.2450 0.0982 0.5480
0.4205 0.5473 0.2258
0.4216 0.0004 0.7334
0.5579 0.9985 0.2269
0.5617 0.4060 0.7256
0.6534 0.0894 0.0406
0.6540 0.2290 0.5380
0.6596 0.6560 0.0087
0.6707 0.6450 0.5086
0.9955 0.9837 0.7591
0.9983 0.9811 0.2590
0.0003 0.8324 0.2225
0.0046 0.5667 0.2221
0.0121 0.9768 0.3662
0.0789 0.2405 0.5426
0.0823 0.6536 0.0375
0.0910 0.5570 0.4531
0.0918 0.3315 0.3269
0.1054 0.5381 0.8159
0.1167 0.5355 0.6347
0.1196 0.3331 0.9698
0.1301 0.2971 0.1498
0.1449 0.8360 0.7230
0.1468 0.9769 0.2088
0.2261 0.8030 0.0508
0.2323 0.9496 0.5509
0.2535 0.6489 0.5400
0.2549 0.0645 0.0428
0.3115 0.1155 0.6499
0.3274 0.5556 0.3143
0.3312 0.5368 0.1321
0.3355 0.5555 0.9496
0.3461 0.0775 0.8271
0.3474 0.1051 0.4698
0.4117 0.9832 0.2248
0.4128 0.5656 0.7256
0.4431 0.6912 0.2143
0.4430 0.8368 0.7174
0.5147 0.8037 0.0559
0.5224 0.6445 0.5453
0.5499 0.1022 0.1346
0.5509 0.3169 0.6320
0.5528 0.0908 0.3157
0.5700 0.3129 0.8144
0.5698 0.3215 0.4493
0.5708 0.0774 0.9531
0.5801 0.3982 0.2258
0.5811 0.9902 0.7221
0.6421 0.6713 0.9009
0.6587 0.5079 0.0456
0.6632 0.2393 0.0403
0.6672 0.7974 0.5414
0.6676 0.0683 0.5373
0.6862 0.6276 0.4007
0.7037 0.8365 0.2188
0.7058 0.4283 0.7142
0.8120 0.6525 0.0417
0.8172 0.2120 0.5508
0.8183 0.5001 0.5560
0.8194 0.9491 0.0541
0.8467 0.9859 0.7228
0.8504 0.1306 0.2226
0.8512 0.4286 0.2171
0.8510 0.6889 0.7189
0.9633 0.8050 0.5543
0.9639 0.2179 0.0508
0.9913 0.1323 0.7090
0.9913 0.9981 0.8666
0.9983 0.3969 0.7248
```



2) Material: Li8V3P8O29
Method: DFT, PBE with a Hubbard U
State: relaxed

```
Li8V3P8O29
1.0
8.5607 -4.9337 0.0000
8.5607 4.9337 0.0000
-0.0656 0.0000 13.8066
Li V P O
16 6 16 58
direct
0.0030 0.9970 0.5000
0.1003 0.2399 0.6825
0.1008 0.6639 0.1825
0.2399 0.1003 0.1825
0.2400 0.6633 0.6811
0.3356 0.3371 0.6189
0.3371 0.3356 0.1189
0.4361 0.5692 0.0582
0.4364 0.9988 0.5555
0.5692 0.4361 0.5582
0.5711 0.9978 0.0563
0.6633 0.2400 0.1811
0.6639 0.1008 0.6825
0.9970 0.0030 0.0000
0.9978 0.5711 0.5563
0.9988 0.4364 0.0555
0.3360 0.8986 0.3666
0.3385 0.7703 0.8680
0.7703 0.3385 0.3680
0.7708 0.8984 0.8666
0.8984 0.7708 0.3666
0.8986 0.3360 0.8666
0.0006 0.0042 0.2439
0.0042 0.0006 0.7439
0.0222 0.4201 0.2743
0.0225 0.5612 0.7738
0.1103 0.2458 0.4617
0.1123 0.6495 0.9617
0.2444 0.6494 0.4622
0.2458 0.1103 0.9617
0.4201 0.0222 0.7743
0.4222 0.5607 0.2750
0.5612 0.0225 0.2738
0.5607 0.4222 0.7750
0.6494 0.2444 0.9622
0.6495 0.1123 0.4617
0.6675 0.6708 0.9925
0.6708 0.6675 0.4925
0.0042 0.5828 0.2733
0.0084 0.4139 0.7744
0.0090 0.8519 0.2817
0.0095 0.9931 0.6347
0.0145 0.1437 0.7815
0.0829 0.2559 0.9637
0.0832 0.6619 0.4626
0.1034 0.3393 0.5511
0.1110 0.3290 0.1846
0.1118 0.5584 0.0505
0.1153 0.5597 0.6851
0.1274 0.3327 0.3685
0.1280 0.5453 0.8686
0.1437 0.0145 0.2815
0.1515 0.8481 0.7867
0.2249 0.8134 0.4517
0.2295 0.9623 0.9487
0.2559 0.0829 0.4637
0.2603 0.6654 0.9619
0.3290 0.1110 0.6846
0.3327 0.1274 0.8685
0.3338 0.5444 0.3688
0.3338 0.5544 0.1856
0.3393 0.1034 0.0511
0.3393 0.5591 0.5508
0.4139 0.0084 0.2744
0.4138 0.5865 0.7769
0.4241 0.8655 0.7868
0.4285 0.7104 0.2841
0.5157 0.6709 0.9466
0.5244 0.8158 0.4529
0.5444 0.3338 0.8688
0.5453 0.1280 0.3686
0.5544 0.3338 0.6856
0.5584 0.1118 0.5505
0.5591 0.3393 0.0508
0.5597 0.1153 0.1851
0.5828 0.0042 0.7733